Sunday, November 14, 2010

We're Half-Way There!!!

I normally try to post something new every Sunday, but for some reason, I am way behind on this one!  Sorry to those of you who read the blog regularly!!!  I'll try to get back on track!

Half-way There!
We are half-way to meeting our sweet baby boy, or possibly more than half-way, depending on when he decides to grace the outside world with his presence!  I can definitely see why so many women favor the second trimester, because I feel wonderful!  I'm not nearly as tired as I was during the first trimester and I really just feel good overall! 

We had our 20-week check-up on Wednesday, November 3rd.  This appointment consisted of an ultrasound and conversation with Dr. Sharon, no exam or blood work.  Hooray!!!  Leading up to this appointment, I was so excited about seeing our baby again and about having new pictures of the little guy to post on the blog.  Unfortunately, I left very disappointed.  Little E (our newest nickname for the baby) would not show his face no matter how much the ultrasound tech, Mary, poked and prodded, and boy did she poke and prod!  At one point, she was pushing on my belly so hard that I was squeezing Brad's hand, sure that my belly would be bruised the next day.  I was really sad that even though I endured the pressure that Mary was putting on my belly, the baby would not turn around.  We eventually left the ultrasound with pictures of his spine, arm, and boy parts, but no face.  The good news it, he is definitely a boy!  The bad news is that I got beat up and still didn't get to see his sweet face!  I have to admit that I shed a few tears about it, but that is probably just because pregnant-Allie is even more emotional than not-pregnant-Allie, if you can believe that! 

Spinal Cord and Back of Head
Little Boy Parts

After the ultrasound, we saw Dr. Sharon, who informed us that Little E is doing great!  That definitely lifted my spirits after the ultrasound.  All of his organs are in working order, his heart rate is exactly where it should be, and he is exactly the right size, which means that he is still expected to arrive on March 18th!  Dr. Sharon was pleased to hear that we're already registered for childbirth preparation classes and he gave us a homework assignment; he asked us to start thinking about birth plan options.  Some of the things we need to consider are doctor versus nurse midwife, pain relief preference during labor, who will cut the umbilical cord, cord blood banking, and several other options that I won't mention.  We are pretty certain that we want the baby to be delivered by a nurse midwife, but we haven't really decided anything else for certain yet.  Luckily, we have a while to make those decisions. 

Now that we know the gender and overall well-being of our baby, the new question that I find myself pondering all the time is, "When will he get here?"  I'm so anxious to find out if he'll be early or late or right on time.  I'm sure that most pregnant women wonder about this very same thing, but I think it stays on my mind all the time because I so want my mom to be here for the delivery.  With her being a ten-hour drive or an hour and a half plane ride away, it is going to be really difficult to coordinate her arrival in Atlanta with Little E's arrival into the world.  Unfortunately for me, it is all completely out of my control, so I guess all I can do is wonder about it and pray that it all works out.

Also, New This Week:

My friend Jane was in town from Indiana for the weekend, so I had a very busy weekend and Little E had two nights out with the girls.  I went out for dinner and drinks at The Grape with Jane and nine other fabulous ladies on Friday night, although I didn't eat or drink anything other than water because it was way past dinner time for me.  On Saturday, I attended a baby shower for my friend Stephanie, who is due in December.  After the shower, Brad met Jane, Sarah, Laura, and I at Atkins Park for dinner.  Brad and I tried to hang out at Atkins for a while after dinner because several other friends were there by then, but the bar was way to smoke-filled and crowded, so we headed home.  It was so fun to have a weekend out with friends, but I definitely can't keep up with the non-pregnant folks these days!

Dinner at The Grape

Atkins Park

-- These data records were left in the text by mistake --
~~~
Computed, not measured: a relaxed Bi4O7 crystal at the PBE level of DFT.

As for the crystal system: triclinic. The energy of formation from the pure elements comes out at -1.5692 eV/atom.

a = 6.826 Å, b = 7.003 Å, c = 7.910 Å
α = 73.05°, β = 89.18°, γ = 78.02°
Space group P-1 (No. 2)
Symmetry-distinct sites (fractional):
Bi 0.000 0.000 0.000 x1
Bi 0.000 0.000 0.500 x1
Bi 0.264 0.485 0.380 x2
Bi 0.272 0.510 0.877 x2
Bi 0.478 0.003 0.757 x2
O 0.097 0.678 0.538 x2
O 0.104 0.678 0.127 x2
O 0.116 0.911 0.773 x2
O 0.287 0.076 0.018 x2
O 0.290 0.057 0.441 x2
O 0.468 0.345 0.137 x2
O 0.468 0.370 0.685 x2

***

Computed, not measured: a relaxed Hg3TeO6 crystal at the PBE level of DFT.

As for the crystal system: cubic. The energy of formation from the pure elements comes out at -1.0237 eV/atom.

a = 13.897 Å, b = 13.897 Å, c = 13.897 Å
α = 90.00°, β = 90.00°, γ = 90.00°
Space group Ia-3 (No. 206)
Symmetry-distinct sites (fractional):
Hg 0.047 0.125 0.700 x48
Te 0.000 0.000 0.000 x8
Te 0.250 0.250 0.250 x8
O 0.002 0.004 0.358 x48
O 0.108 0.248 0.252 x48

***

Computed, not measured: a relaxed Zn3P4H28C8N2O12 crystal at the PBE level of DFT.

As for the crystal system: orthorhombic. The energy of formation from the pure elements comes out at -0.8853 eV/atom.

a = 9.407 Å, b = 16.289 Å, c = 32.889 Å
α = 90.00°, β = 90.00°, γ = 90.00°
Space group Fddd (No. 70, origin choice 2)
Symmetry-distinct sites (fractional):
Zn 0.125 0.125 0.125 x8
Zn 0.125 0.125 0.261 x16
P 0.097 0.304 0.307 x32
H 0.017 0.292 0.034 x32
H 0.032 0.070 0.384 x32
H 0.034 0.348 0.927 x32
H 0.041 0.332 0.102 x32
H 0.085 0.329 0.678 x32
H 0.103 0.060 0.492 x32
H 0.106 0.254 0.803 x32
C 0.002 0.359 0.659 x32
C 0.098 0.050 0.788 x32
N 0.125 0.125 0.436 x16
O 0.012 0.048 0.092 x32
O 0.049 0.356 0.271 x32
O 0.091 0.030 0.297 x32

***

Computed, not measured: a relaxed Ba5Ga2S8 crystal at the PBE level of DFT.

As for the crystal system: orthorhombic. The energy of formation from the pure elements comes out at -1.9323 eV/atom.

a = 22.767 Å, b = 12.282 Å, c = 12.030 Å
α = 90.00°, β = 90.00°, γ = 90.00°
Space group Cmce (No. 64)
Symmetry-distinct sites (fractional):
Ba 0.098 0.162 0.005 x16
Ba 0.101 0.004 0.340 x16
Ba 0.250 0.243 0.750 x8
Ga 0.000 0.187 0.733 x8
Ga 0.250 0.000 0.000 x8
S 0.000 0.031 0.848 x8
S 0.000 0.145 0.541 x8
S 0.092 0.244 0.258 x16
S 0.187 0.000 0.148 x16
S 0.188 0.147 0.503 x16

***

Computed, not measured: a relaxed LiSiNi2 crystal at the PBE level of DFT.

As for the crystal system: cubic. The energy of formation from the pure elements comes out at -0.5048 eV/atom.

a = 5.539 Å, b = 5.539 Å, c = 5.539 Å
α = 90.00°, β = 90.00°, γ = 90.00°
Space group Fm-3m (No. 225)
Symmetry-distinct sites (fractional):
Li 0.000 0.000 0.000 x4
Si 0.000 0.000 0.500 x4
Ni 0.250 0.250 0.250 x8

***

Computed, not measured: a relaxed Sr2PrNbO6 crystal at the PBE level of DFT.

As for the crystal system: cubic. The energy of formation from the pure elements comes out at -3.3368 eV/atom.
~~~
-- End of the data records --

1 comment:

  1. I think this birth plan thing is really interesting. Back in the day, we had no plan at all.
